Anonymous ID: 477036 Dec. 24, 2021, 11:51 p.m. No.15251434   🗄️.is 🔗kun   >>1437

[Materials data that have nothing to do with the article]
'''
The following is a PBE calculation of an optimized crystal structure of Ta2HgHPd, from the Alexandria database.

POSCAR file:
```
Ta2HgHPd
1.0
5.0784 0.0000 0.0000
0.0000 4.9825 0.0000
0.0000 0.0000 5.0784
H Hg Pd Ta
1 1 1 2
Cartesian
2.5392 2.4912 2.5392
0.0000 0.0000 0.0000
0.0000 2.4912 0.0000
0.0000 0.0000 2.5392
2.5392 0.0000 0.0000
```

Computed properties:
For the final energy, the calculation gives -4.0193 eV per atom.



The following is a PBE calculation of an optimized crystal structure of TcHgHPd2, from the Alexandria database.

POSCAR file:
```
TcHgHPd2
1.0
4.1325 0.0000 0.0000
0.0000 4.1325 0.0000
0.0000 0.0000 4.0600
H Hg Pd Tc
1 1 2 1
Cartesian
0.0000 0.0000 0.0000
2.0663 2.0663 2.0300
0.0000 2.0663 0.0000
2.0663 0.0000 0.0000
0.0000 0.0000 2.0300
```

Computed properties:
For the final energy, the calculation gives -4.6429 eV per atom.



The following is a PBE calculation of an optimized crystal structure of HgTe2H2Pd7, from the Alexandria database.

POSCAR file:
```
HgTe2H2Pd7
1.0
4.1176 0.0099 0.1530
0.0150 4.1176 0.1530
2.4409 2.4379 10.9732
Hg Te H Pd
1 2 2 7
Cartesian
0.0000 0.0000 0.0000
4.0499 4.0450 4.3507
2.5236 2.5205 6.9285
4.4493 4.4439 9.2586
2.1242 2.1216 2.0206
2.0663 2.0638 0.1530
1.8865 1.8842 4.3451
4.6870 4.6813 6.9342
4.0279 1.9864 2.3207
1.9913 4.0254 2.3207
4.5822 2.5401 8.9586
2.5456 4.5791 8.9586
```

Computed properties:
For the final energy, the calculation gives -4.3483 eV per atom.



The following is a PBE calculation of an optimized crystal structure of TiHgHPd2, from the Alexandria database.

POSCAR file:
```
TiHgHPd2
1.0
-2.2753 3.3686 -0.3268
-3.3816 -2.2470 0.3828
0.1408 0.5010 4.1841
H Hg Pd Ti
1 1 2 1
Cartesian
0.0000 0.0000 0.0000
-2.7581 0.8112 2.1201
-1.6908 -1.1235 0.1914
-1.1377 1.6843 -0.1634
0.0704 0.2505 2.0921
```

Computed properties:
For the final energy, the calculation gives -4.5777 eV per atom.



The following is a PBE calculation of an optimized crystal structure of TlHgHPd2, from the Alexandria database.

POSCAR file:
```
TlHgHPd2
1.0
-2.7297 0.3657 3.2138
3.1328 -0.7477 2.7460
0.8388 4.3241 0.2204
H Tl Hg Pd
1 1 1 2
Cartesian
0.0000 0.0000 0.0000
0.6209 1.9710 3.0901
0.4194 2.1620 0.1102
1.5664 -0.3738 1.3730
-1.3649 0.1828 1.6069
```

Computed properties:
The value obtained for the distance to the lowest polymorph of the same formula is 0.000 eV per atom.



The following is a PBE calculation of an optimized crystal structure of Tl2HgHPd6, from the Alexandria database.

POSCAR file:
```
Tl2HgHPd6
1.0
-4.3407 -3.2929 4.3289
-1.9159 -3.1743 -4.2763
7.1704 0.9254 -0.1008
Tl Hg H Pd
2 1 1 6
Cartesian
-0.2235 -3.0686 2.3694
1.1338 -2.4753 -2.4218
4.0403 -2.3093 -0.0766
2.8276 -2.3689 4.2262
1.6042 -3.6534 0.1345
-0.9704 -4.8570 0.2900
-0.6940 -1.8906 -0.1869
2.5498 -2.0770 2.2612
1.8806 -0.6868 -0.3424
-1.6397 -3.4669 -2.3136
```

Computed properties:
For the final energy, the calculation gives -4.0613 eV per atom.
'''
[End of the materials data]

>>15244466 (pb)


Letter sent to the FAA



(1) Notice to FAA That Pilots Are Operating Commercial Aircraft in Contravention of Do-Not-Fly

Regulations – Title 14 Code of Federal Regulations §61.53 (also known as Federal Aviation Regulation

61.53) and Associated Guidance – Which Disallow Medical Clearance of Pilots Who Has Injected

NON-FDA Approved Medical Products, such as COVID-19 Vaccinations;


(2) Notice to FAA That Pilots Have Suffered Death and Serious Injury Post-COVID-Vaccinations;


(3) Notice to FAA that Signors Are Aware That Complaints Were Made to FAA Concerning this Issue;


(4) Notice That Pilots Flying with Abnormal D-Dimer Values, Which Indicate Active Blood Clotting, Are

at Elevated Risk for Pulmonary Embolism, Stroke, Arrhythmias, Cardiac Arrest & Death While In-Flight;


(5) Notice That Pilots Flying with Abnormal Troponin Values and/or New ECG Changes/Cardiac MRI

Changes – Which Indicate Active Heart Damage and Possible Acute Myocarditis – Are at Elevated Risk

for Arrhythmias, Cardiac Arrest, and Death While In-Flight;


(6) Given That Both the FAA & Commercial Airline Industry Appear to Have Violated Long-Standing

### Inserted here: calculated crystals
<<<
# MgURu3

Crystalline MgURu3 at its relaxed geometry (GGA-PBE, the Alexandria database).

Cell lengths 5.7758, 5.7758, 6.3923 Å; angles 105.33, 105.33, 60.76 degrees
Closest atoms and distances in Å follow each position.
Element x y z (fractional)
1 Mg 0.0476 0.0476 0.2909  8 Ru 2.88-2.93, 1 Mg 3.10
2 Mg 0.9524 0.9524 0.7091  8 Ru 2.88-2.93, 1 Mg 3.10
3 U 0.3301 0.3301 0.0006  6 Ru 2.48-2.65
4 U 0.6699 0.6699 0.9994  6 Ru 2.48-2.65
5 Ru 0.0484 0.5518 0.3123  2 U 2.49-2.57
6 Ru 0.4482 0.9516 0.6877  2 U 2.49-2.57
7 Ru 0.4507 0.4507 0.6845  2 U 2.48-2.65
8 Ru 0.5493 0.5493 0.3155  2 U 2.48-2.65
9 Ru 0.5518 0.0484 0.3123  2 U 2.49-2.57
10 Ru 0.9516 0.4482 0.6877  2 U 2.49-2.57

Summary:
Energy relative to the elements, meV per atom: -203
Total DFT energy (no corrections), eV/atom: -8.345


Entry 1:
# K3Pu3GeS8 (GGA-PBE, optimized geometry)
data_K3Pu3GeS8
_chemical_formula_sum 'K9 Pu9 Ge3 S24'
_cell_length_a 8.0750
_cell_length_b 8.0750
_cell_length_c 22.0446
_cell_angle_alpha 90.00
_cell_angle_beta 90.00
_cell_angle_gamma 120.00
_space_group_name_H-M_alt 'R -3 m'
_space_group_IT_number 166
_space_group_name_Hall '-R 3 2"'
loop_
_atom_site_label
_atom_site_type_symbol
_atom_site_fract_x
_atom_site_fract_y
_atom_site_fract_z
_atom_site_occupancy
K1 K 0.0000 0.5000 0.0000 1
Pu1 Pu 0.0000 0.5000 0.5000 1
Ge1 Ge 0.0000 0.0000 0.5000 1
S1 S 0.0000 0.0000 0.2333 1
S2 S 0.0022 0.5011 0.7705 1
# **Formation energy from raw total energies**: -1.326 eV per atom
# **N(E_F)**: 1.688 states/eV/atom
# **Magnetic moment**: 38.99 μB/cell

Entry 2:
# KPuGeS3 (GGA-PBE, optimized geometry)
data_KPuGeS3
_chemical_formula_sum 'K2 Pu2 Ge2 S6'
_cell_length_a 8.228
_cell_length_b 3.974
_cell_length_c 10.792
_cell_angle_alpha 90.00
_cell_angle_beta 106.88
_cell_angle_gamma 90.00
_space_group_name_H-M_alt 'P 1 21/m 1'
_space_group_IT_number 11
_space_group_name_Hall '-P 2yb'
loop_
_atom_site_label
_atom_site_type_symbol
_atom_site_fract_x
_atom_site_fract_y
_atom_site_fract_z
_atom_site_occupancy
K1 K 0.240 0.250 0.275 1
Pu1 Pu 0.350 0.750 0.847 1
Ge1 Ge 0.138 0.250 0.566 1
S1 S 0.100 0.250 0.774 1
S2 S 0.332 0.750 0.587 1
S3 S 0.411 0.750 0.109 1
# **Formation energy from raw total energies**: -1.137 eV per atom
# **N(E_F)**: 1.355 states/eV/atom
# **Magnetic moment**: 9.88 μB/cell

Entry 3:
# K2PuGeS4 (GGA-PBE, optimized geometry)
data_K2PuGeS4
_chemical_formula_sum 'K8 Pu4 Ge4 S16'
_cell_length_a 8.312
_cell_length_b 8.393
_cell_length_c 11.719
_cell_angle_alpha 90.00
_cell_angle_beta 90.00
_cell_angle_gamma 90.00
_space_group_name_H-M_alt 'I m m a'
_space_group_IT_number 74
_space_group_name_Hall '-I 2b 2'
loop_
_atom_site_label
_atom_site_type_symbol
_atom_site_fract_x
_atom_site_fract_y
_atom_site_fract_z
_atom_site_occupancy
K1 K 0.000 0.000 0.000 1
K2 K 0.250 0.250 0.250 1
Pu1 Pu 0.250 0.250 0.750 1
Ge1 Ge 0.000 0.000 0.500 1
S1 S 0.000 0.037 0.735 1
S2 S 0.220 0.250 0.523 1
# **Formation energy from raw total energies**: -1.086 eV per atom
>>>

CFR Regulations Which Disallow Medical Clearance of Pilots Who Have Received NON-FDA Approved

Products – Lest “Aeromedically Significant Adverse Effects Manifest” – and Further Given the Wholesale

Disregard of Evidence Indicating That Such Aeromedically Significant Effects Are In Fact Currently

Occurring In Pilot Populations, Signors Hereto Request that the FAA Immediately Adopt a Proactive

Screening Program Requiring All Vaccinated Pilots to Undergo Medical Re-Certification Within Four

Weeks of the Date of this Letter to Include D-Dimer, Troponin and ECG Tests, as well as Cardiac MRIs,

and Medically Clear ONLY Vaccinated Pilots Who Can Show a Clean Bill of Health on ALL Tests;


(7) Notice to the FAA, All Commercial Airline Companies, and All Carriers Insuring Commercial Airlines

That a Failure to Immediately Investigate this Issue, Correctly Apply Federal Do-Not-Fly Regulations –

and Ground All Vaccinated Pilots Who Cannot Show Clean D-Dimer, Troponin, ECG and Cardiac MRI

Tests – Could Lead to a Catastrophic Event Involving Mass Fatalities, Causing At-Fault Parties to Suffer

Monetary Liability Potentially Extending to USD Hundreds of Millions.





Anonymous ID: 477036 Dec. 25, 2021, midnight No.15251437   🗄️.is 🔗kun   >>1442 >>1443

>>15244466 (pb)

(Here the text breaks off for calculated crystals)
+++
[1]
{
  "formula": "VCr2Ir2",
  "functional": "PBE",
  "state": "optimized geometry",
  "lattice_angstrom": [[7.165, 0.000, 0.000], [0.000, 7.165, 0.000], [0.000, 0.000, 2.685]],
  "species": ["V", "V", "Cr", "Cr", "Cr", "Cr", "Ir", "Ir", "Ir", "Ir"],
  "fractional_positions": [[0.000, 0.000, 0.000], [0.500, 0.500, 0.000], [0.118, 0.382, 0.000], [0.382, 0.882, 0.000], [0.618, 0.118, 0.000], [0.882, 0.618, 0.000], [0.176, 0.676, 0.500], [0.324, 0.176, 0.500], [0.676, 0.824, 0.500], [0.824, 0.324, 0.500]],
  "delta_e_f_ev_per_atom": -0.06,
  "spacegroup": "P4/mbm",
  "e_tot_ev_per_cell": -92.7,
  "m_tot_mub_per_atom": 0.000
}

[2]
{
  "formula": "K5Br",
  "functional": "PBE",
  "state": "optimized geometry",
  "lattice_angstrom": [[2.316, -11.399, 0.000], [2.316, 11.399, 0.000], [0.000, 0.000, 7.284]],
  "species": ["K", "K", "K", "K", "K", "Br"],
  "fractional_positions": [[0.000, 0.000, 0.000], [0.107, 0.893, 0.500], [0.327, 0.673, 0.000], [0.673, 0.327, 0.000], [0.893, 0.107, 0.500], [0.500, 0.500, 0.500]],
  "spacegroup": "Cmmm",
  "formation_energy_uncorrected_ev_per_fu": -2.7,
  "e_tot_ev_per_cell": -9.8,
  "m_tot_mub_per_atom": 0.000
}

What did the second record say?
{
  "formula": "K5Br",
  "functional": "PBE",
  "state": "optimized geometry",
  "lattice_angstrom": [[2.316, -11.399, 0.000], [2.316, 11.399, 0.000], [0.000, 0.000, 7.284]],
  "species": ["K", "K", "K", "K", "K", "Br"],
  "fractional_positions": [[0.000, 0.000, 0.000], [0.107, 0.893, 0.500], [0.327, 0.673, 0.000], [0.673, 0.327, 0.000], [0.893, 0.107, 0.500], [0.500, 0.500, 0.500]],
  "spacegroup": "Cmmm",
  "formation_energy_uncorrected_ev_per_fu": -2.7,
  "e_tot_ev_per_cell": -9.8,
  "m_tot_mub_per_atom": 0.000
}

----------

DFT (PBE) results for a relaxed structure of Ca2CrBOs.

The structure in extended XYZ format:
```
5
Lattice="5.0463 0.0000 0.0000 0.0000 5.0463 0.0000 0.0000 0.0000 3.9721" Properties=species:S:1:pos:R:3 pbc="T T T"
Ca 0.0000 2.5232 0.0000
+++





The attorneys, medical doctors, and other experts who authored this letter have become aware of thefact that the commercial airline industry, pilots, and Federal Aviation Administration (“FAA”)appear to be together operating in violation of Title 14 of the Code of Federal Regulations §61.53 2(also known as Federal Aviation Regulation 61.53) and Related Guidance which prohibit pilots fromflying with non-FDA approved agents in their bodies like the COVID-19 inoculation, and in amanner that puts the general public at risk of death and/or serious injury. We lead with ourconclusion, and ask that the FAA immediately take action to remedy this problem by:


1) Medically flagging all vaccinated pilots.


2) Within four weeks of this letter, having said pilots undergo thorough medicalre-examinations to include D-Dimer tests (to check for blood clotting problems), Troponintests (to check for Troponin in the blood, which is a protein that is released when the heartmuscle has been damaged), post-vaccination ECG analysis (also known as EKG, whichchecks the electrical signals which determine cardiac health), and cardiac MRI and PULSTest (to determine heart health). Inclusion of the cardiac MRI as a screening test for pilots iscritical, as a recent study showed that using only ECG results and symptoms to screenpatients resulted in a 7.4 under-diagnosing of actual myocarditis,1 while the PULS Test isalso critical as a study published last month showed that “Mrna COVID Vaccinesdramatically increase … inflammatory markers” and that the risk of Acute CoronarySyndrome more than doubled in those vaccinated, leading the authors to conclude that“the mRNA COVID-19 vaccines dramatically increase inflammation … on the endotheliumand T cell infiltration of cardiac muscle, and may account for the observations of increasedthrombosis, cardiomyopathy, and other vascular events following vaccination.”2


3) Medically de-certifying and grounding all pilots who fail any one of the above tests orwho otherwise show symptoms indicative of possible blood-clotting issues or myocarditis(such as chest pain, shortness of breath, decreased exercise tolerance, or new heartpalpitations) – and re-testing said pilots at six week intervals until all subjective and objectivefindings return to levels that are aeromedically acceptable (including D-dimer, Troponin,ECG and cardiac MRI findings in aeromedically acceptable ranges) and until clean bills ofhealth issue.


4) From this point forward, only allowing commercial aircraft to be operated by pilots whocan show D-Dimer and Troponin tests – as well as cardiac MRIs, ECGs and PULS tests – ataeromedically acceptable levels, and a clean medical examination undertaken a minimum offive (5) days after each COVID-19 vaccine and after each COVID “booster” shot, as areview of reporting systems such as the Vaccine Adverse Event Reporting System(“VAERS”) indicates that the current FAA wait time of two (2) days is insufficient to detecta significant number of blood clotting and myocarditis cases (which are manifesting morethan 48 hours post-inoculation).